
Military land managers are faced with the challenge of balancing threatened, endangered, and at-risk species conservation with testing and training activities. Compounding the challenge are the frequent shortages of data needed and the complexity of most quantitative approaches for in-depth effects analyses. Of necessity, then, these evaluations are typically qualitative and based largely on expert opinion. The manager’s job would be greatly facilitated by easy to use, scientifically-based tools to assess the effects of training and conservation programs on the viability of imperiled species.

The overall objective of this project was to develop a set of models and methods for prioritizing management of threatened, endangered, and at-risk species. Specifically, researchers sought to develop tools for evaluating effects of management on population viability using varying levels of data: (1) life history data when little is known about a species, (2) count data when only estimates of abundance through time are available, and (3) metapopulation models when there is a lot of demographic data about multiple populations.

== Materials data, kept here for reference ==
- - -
Run A
Entry from the Materials Project: a relaxed CaMg6TiO8 crystal (PBE).

SG: No. 123
Crystal system: tetragonal

Cell and atoms, written as POSCAR:
```
CaMg6TiO8
1.0
4.371 0.000 0.000
0.000 4.371 0.000
0.000 0.000 8.723
Ca Mg Ti O
1 6 1 8
direct
0.000 0.000 0.000
0.000 0.000 0.500
0.000 0.500 0.258
0.000 0.500 0.742
0.500 0.000 0.258
0.500 0.000 0.742
0.500 0.500 0.500
0.500 0.500 0.000
0.000 0.000 0.265
0.000 0.000 0.735
0.000 0.500 0.000
0.000 0.500 0.500
0.500 0.000 0.000
0.500 0.000 0.500
0.500 0.500 0.256
0.500 0.500 0.744
```

***

Run B
Entry from the Materials Project: a relaxed CaMg6TiO8 crystal (PBE).

SG: No. 123
Crystal system: tetragonal

Cell and atoms, written as POSCAR:
```
CaMg6TiO8
1.0
4.380 0.000 0.000
0.000 4.380 0.000
0.000 0.000 8.781
Ca Mg Ti O
1 6 1 8
direct
0.000 0.000 0.000
0.000 0.500 0.253
0.000 0.500 0.747
0.500 0.000 0.253
0.500 0.000 0.747
0.500 0.500 0.000
0.500 0.500 0.500
0.000 0.000 0.500
0.000 0.000 0.259
0.000 0.000 0.741
0.000 0.500 0.000
0.000 0.500 0.500
0.500 0.000 0.000
0.500 0.000 0.500
0.500 0.500 0.251
0.500 0.500 0.749
```

***

run A (0.024 eV/atom below the next structure)

***

Run A
Entry from the Materials Project: a relaxed SrCaMg6 crystal (PBE).

Cell and atoms, written as POSCAR:
```
SrCaMg6
1.0
-2.053 4.565 1.891
-5.851 -3.661 2.485
5.432 -1.773 10.177
Sr Ca Mg
2 2 12
direct
0.500 0.500 0.106
0.500 0.000 0.606
0.000 0.500 0.396
0.000 0.000 0.896
0.000 0.215 0.162
0.000 0.785 0.162
0.000 0.500 0.909
0.500 0.285 0.840
0.500 0.715 0.840
0.500 0.500 0.585
0.000 0.715 0.662
0.000 0.285 0.662
0.000 0.000 0.409
0.500 0.785 0.340
0.500 0.215 0.340
0.500 0.000 0.085
```

***

Run B
Entry from the Materials Project: a relaxed SrCaMg6 crystal (PBE).

Cell and atoms, written as POSCAR:
```
SrCaMg6
1.0
-0.904 4.063 -3.478
-2.027 -4.704 -4.968
-11.217 0.786 3.833
Sr Ca Mg
2 2 12
direct
0.500 0.500 0.835
0.500 0.000 0.335
0.500 0.500 0.336
0.500 0.000 0.836
0.500 0.248 0.081
0.500 0.752 0.081
0.000 0.244 0.926
0.000 0.756 0.926
0.000 0.500 0.160
0.000 0.500 0.655
0.500 0.748 0.581
0.500 0.252 0.581
0.000 0.744 0.426
0.000 0.256 0.426
0.000 0.000 0.660
0.000 0.000 0.155
```

***

run A (0.084 eV/atom below the next structure)

***

Run A
Entry from the Materials Project: a relaxed CaMo6S8 crystal (PBE).

SG: No. 148
Crystal system: trigonal

Cell and atoms, written as POSCAR:
```
CaMo6S8
1.0
4.624 2.670 3.803
-4.624 2.670 3.803
0.000 -5.340 3.803
Ca Mo S
1 6 8
direct
0.000 0.000 0.000
0.224 0.559 0.417
0.417 0.224 0.559
0.441 0.583 0.776
0.559 0.417 0.224
0.583 0.776 0.441
0.776 0.441 0.583
0.128 0.379 0.743
0.239 0.239 0.239
0.257 0.872 0.621
0.379 0.743 0.128
0.621 0.257 0.872
0.743 0.128 0.379
0.761 0.761 0.761
0.872 0.621 0.257
```

***

Run B
Entry from the Materials Project: a relaxed CaMo6S8 crystal (PBE).

SG: No. 2
Crystal system: triclinic

Cell and atoms, written as POSCAR:
```
CaMo6S8
1.0
6.276 0.000 0.000
-2.195 5.885 0.000
-2.431 -1.558 7.747
Ca Mo S
1 6 8
direct
0.000 0.000 0.000
- - -
== So much for the materials data ==

Technical Approach

# Inserted here: materials data
-- begin --
A geometry-optimized LaCeCu12 structure. Source: the Materials Project, functional PBE.

Calculated values
Formation energy = -0.118 eV per atom
Crystal system = orthorhombic
Space group = Pmc2_1, No. 26
E_tot = -123.41 eV for the cell shown

a = 5.094 Å, b = 10.086 Å, c = 8.079 Å
α = 90.00°, β = 90.00°, γ = 90.00°
Element x y z (fractional)
La1 0.000 0.185 0.000
La2 0.000 0.815 0.500
Ce1 0.500 0.315 0.480
Ce2 0.500 0.685 0.980
Cu1 0.000 0.108 0.387
Cu2 0.000 0.266 0.640
Cu3 0.000 0.348 0.304
Cu4 0.000 0.495 0.058
Cu5 0.000 0.505 0.558
Cu6 0.000 0.652 0.804
Cu7 0.000 0.734 0.140
Cu8 0.000 0.892 0.887
Cu9 0.246 0.059 0.675
Cu10 0.246 0.941 0.175
Cu11 0.255 0.441 0.805
Cu12 0.255 0.559 0.305
Cu13 0.500 0.006 0.422
Cu14 0.500 0.152 0.179
Cu15 0.500 0.235 0.838
Cu16 0.500 0.393 0.093
Cu17 0.500 0.607 0.593
Cu18 0.500 0.765 0.338
Cu19 0.500 0.848 0.679
Cu20 0.500 0.994 0.922
Cu21 0.745 0.441 0.805
Cu22 0.745 0.559 0.305
Cu23 0.754 0.059 0.675
Cu24 0.754 0.941 0.175


This record from the Materials Project database describes Ta2Ni3Se8 after structural relaxation. The functional is PBE-GGA.

Output
Final energy in eV/atom: -5.901
Energy of formation in meV per atom: -882

a = 3.494 Å, b = 10.634 Å, c = 14.955 Å
α = 90.00°, β = 90.00°, γ = 90.00°
Sites, in units of the cell vectors:
Ni 0.000 0.634 0.778
Ni 0.000 0.866 0.278
Ni 0.000 0.000 0.000
Ni 0.000 0.500 0.500
Ni 0.000 0.366 0.222
Ni 0.000 0.134 0.722
Ta 0.500 0.701 0.380
Ta 0.500 0.201 0.120
Ta 0.500 0.799 0.880
Ta 0.500 0.299 0.620
Se 0.500 0.057 0.629
Se 0.000 0.975 0.844
Se 0.500 0.744 0.213
Se 0.000 0.720 0.509
Se 0.500 0.557 0.871
Se 0.000 0.220 0.991
Se 0.500 0.756 0.713
Se 0.000 0.025 0.156
Se 0.500 0.244 0.287
Se 0.000 0.280 0.491
Se 0.000 0.525 0.344
Se 0.000 0.475 0.656
Se 0.500 0.943 0.371
Se 0.000 0.780 0.009
Se 0.500 0.256 0.787
Se 0.500 0.443 0.129

***

This record from the Materials Project database describes U2Ni12P7 after structural relaxation. The functional is PBE-GGA.

Output
Final energy in eV/atom: -6.834
Energy of formation in meV per atom: -652

a = 9.069 Å, b = 9.069 Å, c = 3.670 Å
α = 90.00°, β = 90.00°, γ = 120.00°
Sites, in units of the cell vectors:
U 0.333 0.667 0.500
U 0.000 0.000 0.000
Ni 0.392 0.213 0.000
Ni 0.100 0.390 0.000
Ni 0.883 0.426 0.500
Ni 0.054 0.764 0.500
Ni 0.236 0.290 0.500
Ni 0.820 0.608 0.000
Ni 0.543 0.117 0.500
Ni 0.710 0.946 0.500
Ni 0.787 0.180 0.000
Ni 0.610 0.710 0.000
Ni 0.290 0.900 0.000
Ni 0.574 0.457 0.500
P 0.667 0.333 0.000
P 0.781 0.739 0.500
P 0.958 0.219 0.500
P 0.261 0.042 0.500
P 0.375 0.448 0.000
P 0.552 0.926 0.000
P 0.074 0.625 0.000

***

This record from the Materials Project database describes La2Hf2O7 after structural relaxation. The functional is PBE-GGA.

Output
Final energy in eV/atom: -9.462
Energy of formation in meV per atom: -4042

a = 7.643 Å, b = 7.643 Å, c = 7.643 Å
α = 60.00°, β = 60.00°, γ = 60.00°
Sites, in units of the cell vectors:
La 0.125 0.625 0.125
La 0.625 0.125 0.125
La 0.125 0.125 0.125
-- stop --

A framework was constructed based on structured population models that can be used to evaluate possible effects of management actions on population growth rates for data-poor species. This approach was demonstrated with the arroyo toad. A time-series of count data was then used to fit stochastic models of population growth and assess population trend or viability. This approach was applied to evaluate extinction risk for the greater sage grouse at Yakima Training Center, Washington. For species with detailed information about vital rates, spatial structure, and metapopulation characteristics, methods were developed for conducting global sensitivity analyses of viability models for multiple populations. These methods were demonstrated using a pilot conservation incentive program for golden-cheeked warblers at Fort Hood, Texas. Finally, time-series abundance estimates for multiple populations were combined to evaluate the probability of persistence for Sonoran pronghorn at Barry M. Goldwater Range, Arizona.

**The text is interrupted by calculated crystals:**
____________
! r²SCAN Y2MgCd, relaxed; values from VASP
&SYSTEM
  ibrav = 0, nat = 16, ntyp = 3
/
ATOMIC_SPECIES
Y 88.91 Y.upf
Mg 24.30 Mg.upf
Cd 112.41 Cd.upf
CELL_PARAMETERS angstrom
7.533 0.000 0.000
0.000 7.533 0.000
0.000 0.000 7.533
ATOMIC_POSITIONS crystal
Y 0.250 0.250 0.250
Y 0.250 0.250 0.750
Y 0.250 0.750 0.250
Y 0.250 0.750 0.750
Y 0.750 0.250 0.250
Y 0.750 0.250 0.750
Y 0.750 0.750 0.250
Y 0.750 0.750 0.750
Mg 0.000 0.000 0.000
Mg 0.000 0.500 0.500
Mg 0.500 0.000 0.500
Mg 0.500 0.500 0.000
Cd 0.000 0.000 0.500
Cd 0.000 0.500 0.000
Cd 0.500 0.000 0.000
Cd 0.500 0.500 0.500
! - E_form (eV/atom) = -0.25
! - spin magnetization (μB per atom) = 0.0005
! - space-group type = No. 225
! - DFT total energy (eV/atom) = -16.47



! r²SCAN AcMgCd2, relaxed; values from VASP
&SYSTEM
  ibrav = 0, nat = 16, ntyp = 3
/
ATOMIC_SPECIES
Ac 227.00 Ac.upf
Mg 24.30 Mg.upf
Cd 112.41 Cd.upf
CELL_PARAMETERS angstrom
7.628 0.000 0.000
0.000 7.628 0.000
0.000 0.000 7.628
ATOMIC_POSITIONS crystal
Ac 0.000 0.000 0.000
Ac 0.000 0.500 0.500
Ac 0.500 0.000 0.500
Ac 0.500 0.500 0.000
Mg 0.000 0.000 0.500
Mg 0.000 0.500 0.000
Mg 0.500 0.000 0.000
Mg 0.500 0.500 0.500
Cd 0.250 0.250 0.250
Cd 0.250 0.250 0.750
Cd 0.250 0.750 0.250
Cd 0.250 0.750 0.750
Cd 0.750 0.250 0.250
Cd 0.750 0.250 0.750
Cd 0.750 0.750 0.250
Cd 0.750 0.750 0.750
! - E_form (eV/atom) = -0.29
! - spin magnetization (μB per atom) = 0.0000
! - space-group type = No. 225
! - DFT total energy (eV/atom) = -28.55



! r²SCAN YbIn3, relaxed; values from VASP
&SYSTEM
  ibrav = 0, nat = 4, ntyp = 2
/
ATOMIC_SPECIES
Yb 173.04 Yb.upf
In 114.82 In.upf
CELL_PARAMETERS angstrom
4.580 0.000 0.000
0.000 4.580 0.000
0.000 0.000 4.580
ATOMIC_POSITIONS crystal
Yb 0.000 0.000 0.000
In 0.000 0.500 0.500
In 0.500 0.000 0.500
In 0.500 0.500 0.000
! - E_form (eV/atom) = -0.46
! - spin magnetization (μB per atom) = 0.0000
! - space-group type = No. 221
! - DFT total energy (eV/atom) = -26.53



! r²SCAN TlAuF6, relaxed; values from VASP
&SYSTEM
  ibrav = 0, nat = 64, ntyp = 3
/
ATOMIC_SPECIES
Tl 204.38 Tl.upf
Au 196.97 Au.upf
F 19.00 F.upf
CELL_PARAMETERS angstrom
5.751 0.000 0.000
0.000 5.751 0.000
0.000 0.000 27.979
ATOMIC_POSITIONS crystal
Tl 0.164 0.325 0.267
Tl 0.175 0.664 0.517
Tl 0.325 0.164 0.733
Tl 0.336 0.825 0.983
Tl 0.664 0.175 0.483
Tl 0.675 0.836 0.233
Tl 0.825 0.336 0.017
Tl 0.836 0.675 0.767
Au 0.007 0.815 0.633
Au 0.185 0.993 0.867
Au 0.315 0.493 0.383
Au 0.493 0.315 0.617
Au 0.507 0.685 0.117
Au 0.685 0.507 0.883
Au 0.815 0.007 0.367
Au 0.993 0.185 0.133
F 0.009 0.451 0.090
F 0.025 0.358 0.751
F 0.029 0.088 0.673
F 0.040 0.818 0.918
F 0.049 0.509 0.340
F 0.050 0.050 0.000
F 0.088 0.029 0.327
F 0.142 0.525 0.001
F 0.155 0.675 0.431
F 0.172 0.828 0.750
F 0.175 0.345 0.181
F 0.182 0.960 0.582
F 0.318 0.460 0.668
F 0.325 0.845 0.069
F 0.328 0.328 0.500
F 0.345 0.175 0.819
F 0.358 0.025 0.249
F 0.412 0.529 0.923
F 0.450 0.550 0.250
F 0.451 0.009 0.910
F 0.460 0.318 0.332
F 0.471 0.588 0.577
F 0.475 0.858 0.499
____________


This project demonstrated that arroyo toad population growth rates are highly dependent on the survival of toads during their terrestrial life stages. The strong effect of parameter uncertainty on population persistence estimates was also illustrated. A set of population growth models was applied to the greater sage grouse population at Yakima Training Center and showed that the population growth rate is negatively influenced by drought and increasing area of grassland habitat. Overall, the probability of this population dropping below an extinction threshold of 50 lekking males was high under the best growth models. In demonstrating the approach for applying sensitivity analyses to metapopulation models for golden-cheeked warblers, uncertainty in model structure and parameter estimates made it impossible to develop general guidelines for valuing habitat patches, but parameters that need to be targeted in future research were identified. Using time-series estimates of abundance for multiple populations, the probability of persistence for Sonoran pronghorn under three management scenarios was estimated and showed a clear and substantial benefit to supplementing the wild population with individuals from the captive population at Cabeza Prieta National Wildlife Refuge.


The tools developed by this project can be used to address management questions for many species of Department of Defense concern and to improve biological assessments, NEPA analyses, recovery planning, and endangered species management plans. Moreover, these tools can be used to provide direction as to how future research should proceed to focus on the factors that are most important to population viability. The demonstrations of these tools were designed to address real management issues and have clear and immediate use to the managers of focal installations.